-- Exercise --
Start at the top of the material further down and give back each line, ending with the one that has "4.25609", please.

-- Source --
........
(1)
The following is a DFT calculation (ωB97M-V/def2-TZVPD) of a molecular structure, C51H29Cl4N5O2Tc in a non-equilibrium geometry.

Positions of all 92 atoms, in Å:
Tc  -0.09650  0.48550  0.18222
Cl  5.77343  -2.69554  -6.49332
C  4.96422  -1.87823  -5.25287
C  4.79748  -2.49925  -4.02740
C  3.96945  -2.03366  -3.05012
C  3.24577  -0.83227  -3.29879
C  3.45659  -0.15223  -4.50620
C  4.33441  -0.64911  -5.46880
C  2.27349  -0.39586  -2.26837
C  0.92673  -0.34926  -2.58148
C  0.37978  -0.70498  -3.92054
C  -0.84350  -0.15201  -4.01240
C  -1.14744  0.50324  -2.79125
C  -2.26737  1.20328  -2.32635
C  -3.35671  1.25149  -3.35139
C  -4.20154  0.15571  -3.55697
C  -4.98759  0.10981  -4.73275
C  -5.02129  1.22249  -5.54614
Cl  -5.80917  1.07601  -7.07772
C  -4.39307  2.44476  -5.15283
C  -3.53201  2.45280  -4.05069
C  -2.53133  1.84245  -1.11203
N  -1.63483  1.82649  -0.01351
C  -2.28852  2.57375  0.89835
C  -1.77507  2.84279  2.29299
C  -2.53596  3.81037  3.05127
C  -3.72674  3.39346  3.63703
C  -4.38533  4.26657  4.39310
C  -3.87680  5.56305  4.61133
Cl  -4.80199  6.71670  5.58807
C  -2.71358  5.96830  4.05285
C  -1.97246  5.06291  3.27552
C  -0.73901  2.13121  2.83576
C  -0.09479  2.32466  4.12966
C  0.83001  1.32019  4.20996
C  0.82224  0.59986  2.94507
N  -0.10164  1.07302  2.11644
C  1.70835  -0.46533  2.37891
C  2.65236  0.01711  1.31377
C  3.98041  -0.03735  0.93977
C  4.04895  -0.10064  -0.47124
C  2.75599  -0.17518  -0.94258
N  1.87357  -0.00169  0.11903
C  2.09694  -1.62249  3.35693
C  1.31479  -1.97138  4.36957
C  1.52403  -3.10690  5.14658
C  2.72012  -3.83220  4.92887
Cl  3.07338  -5.19396  5.90315
C  3.58545  -3.44156  3.93935
C  3.24536  -2.36441  3.13324
C  -3.52955  3.16582  0.51699
C  -3.61206  2.72426  -0.82042
N  -0.12596  0.26686  -1.85825
H  5.08264  -3.57263  -3.89036
H  3.95553  -2.52059  -2.06742
H  2.97870  0.75471  -4.75012
H  4.45089  -0.06662  -6.38524
H  0.84105  -1.41503  -4.66254
H  -1.46444  -0.18264  -4.89581
H  -4.18451  -0.68501  -2.86266
H  -5.59271  -0.76720  -4.95509
H  -4.59317  3.30434  -5.67968
H  -2.91957  3.29947  -3.82864
H  -4.02340  2.34143  3.45509
H  -5.34591  3.95739  4.77748
H  -2.23043  6.93472  4.25609
H  -1.05014  5.36756  2.81496
H  -0.32995  3.08400  4.86191
H  1.60548  1.17068  4.93388
H  4.79375  -0.10367  1.56928
H  4.99559  -0.14528  -1.03087
H  0.41621  -1.38064  4.60052
H  0.83567  -3.37578  5.86580
H  4.55256  -3.92157  3.81834
H  3.89831  -2.15992  2.29788
H  -4.12544  3.89813  1.17390
H  -4.41052  2.73490  -1.61108
O  -2.98446  -2.18646  0.06441
N  -2.47511  -1.15807  -0.18234
O  -1.41079  -0.90302  0.64846
C  1.09620  -0.95469  0.96028
C  1.09561  -2.46616  0.67241
C  0.30650  -3.32193  1.37049
C  0.44640  -4.69493  1.20944
C  1.27090  -5.28827  0.30988
C  2.13571  -4.44160  -0.42375
C  2.01264  -3.04336  -0.23355
H  -0.34665  -2.93929  2.10990
H  -0.17780  -5.22619  1.88630
H  1.31513  -6.40379  0.24336
H  2.69148  -4.88782  -1.17980
H  2.63650  -2.37462  -0.84253

The LUMO energy (spin up / spin down) is -5.27 / -5.27 eV. The total charge is +1. The calculation puts the total energy at -117179.3318 eV. As for the HOMO-LUMO gap (spin up / spin down): 4.6 / 4.6 eV. For the energy above the lowest of the compared OMol25 structures with the same formula, charge and spin, the calculation gives 481.4 kJ/mol. The maximum force comes out at 4.2 eV/Å.

=====

(2)
The following is a DFT calculation (ωB97M-V/def2-TZVPD) of a molecular structure, C46H43N9O3S2SeSiW in a non-equilibrium geometry.

Positions of all 106 atoms, in Å:
W  0.26366  -0.31152  -0.14226
C  -1.24403  -0.25768  1.40198
Si  -2.49660  -1.67340  1.42069
C  -3.03613  -1.33368  -0.34533
N  -1.89139  -1.03313  -1.28387
C  -2.41700  0.00369  -2.23667
C  -3.72148  -0.40884  -2.92315
C  -3.63753  -1.84911  -3.46825
C  -2.19479  -2.34652  -3.46017
C  -1.55959  -2.28315  -2.07085
C  -1.97094  -3.44418  1.67924
C  -1.13699  -3.82461  2.73737
C  -0.85087  -5.16030  2.97682
C  -1.38734  -6.14433  2.15274
........

-- Written answer --
(1)
The following is a DFT calculation (ωB97M-V/def2-TZVPD) of a molecular structure, C51H29Cl4N5O2Tc in a non-equilibrium geometry.

Positions of all 92 atoms, in Å:
Tc  -0.09650  0.48550  0.18222
Cl  5.77343  -2.69554  -6.49332
C  4.96422  -1.87823  -5.25287
C  4.79748  -2.49925  -4.02740
C  3.96945  -2.03366  -3.05012
C  3.24577  -0.83227  -3.29879
C  3.45659  -0.15223  -4.50620
C  4.33441  -0.64911  -5.46880
C  2.27349  -0.39586  -2.26837
C  0.92673  -0.34926  -2.58148
C  0.37978  -0.70498  -3.92054
C  -0.84350  -0.15201  -4.01240
C  -1.14744  0.50324  -2.79125
C  -2.26737  1.20328  -2.32635
C  -3.35671  1.25149  -3.35139
C  -4.20154  0.15571  -3.55697
C  -4.98759  0.10981  -4.73275
C  -5.02129  1.22249  -5.54614
Cl  -5.80917  1.07601  -7.07772
C  -4.39307  2.44476  -5.15283
C  -3.53201  2.45280  -4.05069
C  -2.53133  1.84245  -1.11203
N  -1.63483  1.82649  -0.01351
C  -2.28852  2.57375  0.89835
C  -1.77507  2.84279  2.29299
C  -2.53596  3.81037  3.05127
C  -3.72674  3.39346  3.63703
C  -4.38533  4.26657  4.39310
C  -3.87680  5.56305  4.61133
Cl  -4.80199  6.71670  5.58807
C  -2.71358  5.96830  4.05285
C  -1.97246  5.06291  3.27552
C  -0.73901  2.13121  2.83576
C  -0.09479  2.32466  4.12966
C  0.83001  1.32019  4.20996
C  0.82224  0.59986  2.94507
N  -0.10164  1.07302  2.11644
C  1.70835  -0.46533  2.37891
C  2.65236  0.01711  1.31377
C  3.98041  -0.03735  0.93977
C  4.04895  -0.10064  -0.47124
C  2.75599  -0.17518  -0.94258
N  1.87357  -0.00169  0.11903
C  2.09694  -1.62249  3.35693
C  1.31479  -1.97138  4.36957
C  1.52403  -3.10690  5.14658
C  2.72012  -3.83220  4.92887
Cl  3.07338  -5.19396  5.90315
C  3.58545  -3.44156  3.93935
C  3.24536  -2.36441  3.13324
C  -3.52955  3.16582  0.51699
C  -3.61206  2.72426  -0.82042
N  -0.12596  0.26686  -1.85825
H  5.08264  -3.57263  -3.89036
H  3.95553  -2.52059  -2.06742
H  2.97870  0.75471  -4.75012
H  4.45089  -0.06662  -6.38524
H  0.84105  -1.41503  -4.66254
H  -1.46444  -0.18264  -4.89581
H  -4.18451  -0.68501  -2.86266
H  -5.59271  -0.76720  -4.95509
H  -4.59317  3.30434  -5.67968
H  -2.91957  3.29947  -3.82864
H  -4.02340  2.34143  3.45509
H  -5.34591  3.95739  4.77748
H  -2.23043  6.93472  4.25609